-- Exercise --
Give back the whole of the rows below without altering anything.
-- Given --
........
i:
A cluster of 2 separate species, C7H17NO2 in total. Source: the Open Molecules 2025 dataset; level of theory: wB97M-V/def2-TZVPD.

Values from the calculation:
**HOMO (alpha / beta)**: -6.530 / -6.716 eV
**Spin multiplicity**: 1
**HOMO-LUMO gap (alpha / beta)**: 7.22 / 7.50 eV

Atoms and positions in Å:
1 C 0.0103 -0.8494 1.2997
2 C -1.6132 0.7845 -1.5424
3 C -0.6265 -0.1973 -0.9320
4 C 0.8767 -2.0587 1.1139
5 C -0.2649 -0.3812 2.6978
6 C 2.0985 1.4928 0.2557
7 C -0.1261 -1.2984 -1.8218
8 N -1.7484 1.9460 -0.6842
9 O -0.6623 -0.2301 0.3807
10 O -1.1819 1.2030 -2.8138
11 H -0.3912 1.7414 -2.6822
12 H -2.5821 0.2822 -1.7540
13 H 1.7135 0.9099 -0.6081
14 H -1.9803 1.6690 0.2607
15 H -2.4776 2.5570 -1.0350
16 H 1.4318 -2.0235 0.1822
17 H 0.2908 -2.9830 1.1338
18 H 1.5909 -2.1136 1.9355
19 H 0.6668 -0.1843 3.2301
20 H -0.8511 0.5339 2.6736
21 H -0.8160 -1.1322 3.2705
22 H 2.8985 2.1625 -0.0456
23 H 2.4788 0.8232 1.0208
24 H 1.2810 2.0741 0.6560
25 H -0.3621 -2.2827 -1.4174
26 H -0.6069 -1.2016 -2.7921
27 H 0.9530 -1.2434 -1.9824

Results of the Mulliken charge analysis, in e, for atoms 1 through 6: C 0.916; C -0.033; C 0.574; C -1.341; C -1.434; C -0.868

=====

ii:
A cluster of 2 separate species, C7H17NO2 in total. Source: the Open Molecules 2025 dataset; level of theory: wB97M-V/def2-TZVPD.

Values from the calculation:
**HOMO**: -8.458 eV
**SMILES string**: COC(C)=O.CCN(C)C
**Spin multiplicity**: 1
**HOMO-LUMO gap**: 9.39 eV

Atoms and positions in Å:
1 C -0.1631 -2.2094 0.2966
2 C 0.6968 -0.3297 1.5990
3 C 2.1971 -1.7123 0.3674
4 C -1.2350 -1.9149 -0.7522
5 N 0.8477 -1.1424 0.3903
6 H -0.6386 -2.3951 1.2674
7 H 0.3008 -3.1609 0.0085
8 H 1.2429 0.6138 1.4775
9 H 2.4109 -2.1422 -0.6166
10 H 1.0802 -0.8349 2.4924
11 H -0.3445 -0.0662 1.7972
12 H 2.9561 -0.9435 0.5516
13 H 2.3172 -2.4960 1.1254
14 H -1.2323 -2.6823 -1.5338
15 H -1.0891 -0.9595 -1.2568
16 H -2.2314 -1.9054 -0.2972
17 C -2.1174 1.4996 0.2408
18 C 0.8239 3.1073 -1.2342
19 C -0.3085 2.1329 -1.1171
20 O -0.9900 2.3524 0.0431
21 O -0.5750 1.2931 -1.9591
22 H -1.8014 0.4634 0.3409
23 H -2.6004 1.7880 1.1782
24 H -2.8378 1.5949 -0.5759
25 H 1.6401 2.8224 -0.5671
26 H 0.4669 4.1135 -0.9989
27 H 1.1839 3.1133 -2.2672

Results of the Mulliken charge analysis, in e, for atoms 1 through 6: C -0.545; C -1.210; C -1.170; C -1.013; N 0.179; H 0.330

=====

Short version: i is the least stable of them.
........
-- Here it is --
i:
A cluster of 2 separate species, C7H17NO2 in total. Source: the Open Molecules 2025 dataset; level of theory: wB97M-V/def2-TZVPD.

Values from the calculation:
**HOMO (alpha / beta)**: -6.530 / -6.716 eV
**Spin multiplicity**: 1
**HOMO-LUMO gap (alpha / beta)**: 7.22 / 7.50 eV

Atoms and positions in Å:
1 C 0.0103 -0.8494 1.2997
2 C -1.6132 0.7845 -1.5424
3 C -0.6265 -0.1973 -0.9320
4 C 0.8767 -2.0587 1.1139
5 C -0.2649 -0.3812 2.6978
6 C 2.0985 1.4928 0.2557
7 C -0.1261 -1.2984 -1.8218
8 N -1.7484 1.9460 -0.6842
9 O -0.6623 -0.2301 0.3807
10 O -1.1819 1.2030 -2.8138
11 H -0.3912 1.7414 -2.6822
12 H -2.5821 0.2822 -1.7540
13 H 1.7135 0.9099 -0.6081
14 H -1.9803 1.6690 0.2607
15 H -2.4776 2.5570 -1.0350
16 H 1.4318 -2.0235 0.1822
17 H 0.2908 -2.9830 1.1338
18 H 1.5909 -2.1136 1.9355
19 H 0.6668 -0.1843 3.2301
20 H -0.8511 0.5339 2.6736
21 H -0.8160 -1.1322 3.2705
22 H 2.8985 2.1625 -0.0456
23 H 2.4788 0.8232 1.0208
24 H 1.2810 2.0741 0.6560
25 H -0.3621 -2.2827 -1.4174
26 H -0.6069 -1.2016 -2.7921
27 H 0.9530 -1.2434 -1.9824

Results of the Mulliken charge analysis, in e, for atoms 1 through 6: C 0.916; C -0.033; C 0.574; C -1.341; C -1.434; C -0.868

=====

ii:
A cluster of 2 separate species, C7H17NO2 in total. Source: the Open Molecules 2025 dataset; level of theory: wB97M-V/def2-TZVPD.

Values from the calculation:
**HOMO**: -8.458 eV
**SMILES string**: COC(C)=O.CCN(C)C
**Spin multiplicity**: 1
**HOMO-LUMO gap**: 9.39 eV

Atoms and positions in Å:
1 C -0.1631 -2.2094 0.2966
2 C 0.6968 -0.3297 1.5990
3 C 2.1971 -1.7123 0.3674
4 C -1.2350 -1.9149 -0.7522
5 N 0.8477 -1.1424 0.3903
6 H -0.6386 -2.3951 1.2674
7 H 0.3008 -3.1609 0.0085
8 H 1.2429 0.6138 1.4775
9 H 2.4109 -2.1422 -0.6166
10 H 1.0802 -0.8349 2.4924
11 H -0.3445 -0.0662 1.7972
12 H 2.9561 -0.9435 0.5516
13 H 2.3172 -2.4960 1.1254
14 H -1.2323 -2.6823 -1.5338
15 H -1.0891 -0.9595 -1.2568
16 H -2.2314 -1.9054 -0.2972
17 C -2.1174 1.4996 0.2408
18 C 0.8239 3.1073 -1.2342
19 C -0.3085 2.1329 -1.1171
20 O -0.9900 2.3524 0.0431
21 O -0.5750 1.2931 -1.9591
22 H -1.8014 0.4634 0.3409
23 H -2.6004 1.7880 1.1782
24 H -2.8378 1.5949 -0.5759
25 H 1.6401 2.8224 -0.5671
26 H 0.4669 4.1135 -0.9989
27 H 1.1839 3.1133 -2.2672

Results of the Mulliken charge analysis, in e, for atoms 1 through 6: C -0.545; C -1.210; C -1.170; C -1.013; N 0.179; H 0.330

=====

Short version: i is the least stable of them.